Who Should Pray for Pastors And Ministers?
Pray Today Episode 01
featuring Pastor Joe Sanders
Please welcome Pastor Joe Sanders, a pastor from The Sanctuary Fellowship. Today he will share with us who should pray for pastors and ministers.
Podcast Transcript
**Quantum chemistry results, as found in the file**
{
  "formula": "C20H39Cl2N2O32S9",
  "method": "ωB97M-V/def2-TZVPD",
  "homo_lumo_gap_ev": 7.36,
  "max_force_ev_per_a": 6.83,
  "total_charge": -1,
  "lumo_ev": 1.529,
  "species": ["Cl", "Cl", "S", "S", "S", "S", "S", "S", "S", "S", "S", "O", "O", "O", "O", "O", "O", "O", "O", "O", "O", "O", "O", "O", "O", "O", "O", "O", "O", "O", "O", "O", "O", "O", "O", "O", "O", "O", "O", "O", "O", "O", "O", "N", "N", "C", "C", "C", "C", "C", "C", "C", "C", "C", "C", "C", "C", "C", "C", "C", "C", "C", "C", "C", "C", "H", "H", "H", "H", "H", "H", "H", "H", "H", "H", "H", "H", "H", "H", "H", "H", "H", "H", "H", "H", "H", "H", "H", "H", "H", "H", "H", "H", "H", "H", "H", "H", "H", "H", "H", "H", "H", "H", "H"],
Hi, my name is Joe Sanders. I am the lead pastor at The Sanctuary Fellowship in Richmond Texas. I’ve been asked to talk to you about who should pray for their pastors during Pastor Appreciation Month or Clergy Appreciation Month. Hopefully, this is about who should be praying for their pastors all the time, not just during this month.
In Hebrews 13, which may be a passage or verse that many of us are familiar with, it says “Obey your leaders and submit to them, for they are keeping watch over your souls, as those who will have to give an account. Let them do this with joy and not with groaning, for that would be of no advantage to you” (Hebrews 13:17).
Who should be praying for your pastors? It should be the people who are receiving the benefits of what the pastor does. Whether or not you are a member of the church, if you are sitting in the congregation regularly, or sitting under that church’s or pastor’s teaching and authority, you are benefiting from their ministry. I think you should be praying for your pastoral staff.
There are several reasons why, some of which we see in Hebrews 13:17. As pastors, we need to know people are praying for us because the bible teaches that we are under a greater, tougher, higher judgment. We are held to a higher standard. We are giving an account for your souls. If you value the condition of your soul, your personal walk with the Lord, how you are developing, maturing, growing into a mature Christ-follower, you would want to pray for the person who the Lord has chosen and set aside to be responsible for your soul.
Those of us who are your soul shepherds need your prayers. If you are receiving soul care from a pastor or the pastoral staff, you would want to pray for them, because they have a higher judgment. They will give an account for your spiritual condition and what they did to pour into that and to equip you to grow and to become more like Christ. For the judgment issue, you would want to pray for your pastors.
Another thing that people don’t understand, I don’t want to blow this from our perspective, but people sometimes miss that pastors are under a greater temptation. They face a different kind, maybe more intense temptation. There is an Old Testament passage that says the enemy will strike the shepherd so the flock will scatter (Zechariah 13:7). Peter has this talk with Christ; Christ says to him “Peter, watch out! Satan wants to sift you right now” and Peter would go on to be the leader of the church in Acts (Luke 22:31).
I think you find this principle throughout Scripture. If the enemy can take out those who are spiritual leaders, organizational leaders, it effects the lives of many people – dozens, hundreds, thousands of people. Especially in our day with social media, as pastors fall and fail to temptation, it effects the faith of many people. Because of the temptation pastors face, if you love your pastor and pastoral staff, and you want to see them excel so that you can excel in your spiritual walk and the care they give for you, you want to pray throughout their temptation.
The last thing I want to say is that as your pastor knows you are praying for him, the blessings that flow into your life increase. I don’t want to make this utilitarian, you pray a prayer so you will get something back. But as a pastor, when you know that people are praying for you, and they are sincere about that, intentional about that, it makes a mountains worth of difference in sermon/message preparation time, or in your counseling time. When you shut that door and you’re counseling somebody, to know that others have been praying for you, it makes that counseling time a blessing to that person. It makes the sermons and the message a blessing to that person. It makes a huge difference in the ministry you receive back from your pastors.
If you sit under the stewardship, and the soul-stewardship of a pastor, you want to be praying for them, for their safe-guarding, for the sake of the gospel in your church and in your community. Also, you want to be praying for them because of the blessing that comes back to you as your pastor ministers more effectively, by the Spirit of God on him, the Holy Spirit covering him. All of us should pray for our pastor who have the privilege of sitting under a loving shepherd of our souls.
God bless you all and bless your pastors this month. Pray for them, lift them up consistently.